
She Breaks Martial Law : Taekwondo: Despite custom and disapproving parents in her native Korea, Kim has risen to the top in a sport that traditionally was for men only.


You can tell a person by her dojung.

Almost everything in Master Young Sook Kim’s “World Tae Kwon Do Martial Arts” dojung (karate training room)--from trophies to photographs to plaques to mirrors--reflects.

So does Kim, on the time before women were accepted in taekwondo. Before she did some kicking against established Korean mores.

“Everywhere I went, I opened doors,” said Kim, demonstrating with her arms. “Open, open, open.”


Though Kim summons door metaphors as if she were Jim Morrison, her dojung has few. More interesting are the walls. The plethora of artifacts from glories past might seem gaudy and self-congratulatory, but then, Kim--who leads visitors by the bicep from memento to memento--didn’t become the Jackie Robinson of taekwondo by being demure.

She has been around a man’s world in 35 years, struggling for gender equality in the martial arts. Now she stands before yet another creaky door--loosened by her own endeavors--which she is primed to knock off its hinges.

Only four referees from the United States--of a pool of 250--will travel to Manila for the 12th World Tae Kwon Do Championships and the fifth Women’s World Taekwondo Championships from Nov. 17-21. Kim, as she often is, will be the lone woman.


Fifty-six other referees from 146 other nations will also arbitrate the proceedings in Manila. All are male and few can compete with Kim’s prodigious pedigree.

Born in Korea in 1947, Kim began secretly learning taekwondo at age 12, despite disapproving parents.

“In [South] Korea, [the] man is first, the woman behind the door,” Kim said. “My brother was a black belt, but my parents didn’t want me to do that. They cut up my uniform.”

Crystal structures that have nothing to do with the entry:
- - -
[1]
## CsSnI3 (PBE)

Data for CsSnI3 after structural relaxation.

Cell lengths 8.8177, 8.8177, 6.3081 Å; angles 90.00, 90.00, 90.00 degrees
Closest atoms and distances in Å follow each position.
Space group P4/mbm (No. 127)
Inequivalent atoms, fractional coordinates:
Cs  0.0000  0.5000  0.0000  8 I 4.10-4.41
Sn  0.0000  0.0000  0.5000  6 I 3.15-3.16
I  0.0000  0.0000  0.0000  2 Sn 3.15
I  0.2098  0.2902  0.5000  2 Sn 3.16

=====

[2]
## CsSnI3 (PBE)

Data for CsSnI3 after structural relaxation.

Cell lengths 10.7650, 4.8323, 18.1473 Å; angles 90.00, 90.00, 90.00 degrees
Closest atoms and distances in Å follow each position.
Space group Pnma (No. 62)
Inequivalent atoms, fractional coordinates:
Cs  0.0835  0.2500  0.1702  9 I 3.98-4.33
Sn  0.1581  0.7500  0.4390  5 I 3.04-3.26
I  0.0261  0.7500  0.6119  3 Sn 3.26-3.45
I  0.1685  0.7500  0.9989  2 Sn 3.24
I  0.2068  0.2500  0.7919  1 Sn 3.04

=====

[3]
## CsSnI3 (PBE)

Data for CsSnI3 after structural relaxation.

Cell lengths 8.7332, 12.6631, 8.8722 Å; angles 90.00, 90.00, 90.00 degrees
Closest atoms and distances in Å follow each position.
Space group Pnma (No. 62)
Inequivalent atoms, fractional coordinates:
Cs  0.0047  0.2500  0.0233  7 I 4.05-4.43
Sn  0.0000  0.0000  0.5000  6 I 3.16-3.17
I  0.0026  0.7500  0.5200  2 Sn 3.17
I  0.2031  0.0076  0.7963  2 Sn 3.16-3.17

=====

[4]
## CsSnI3 (PBE)

Data for CsSnI3 after structural relaxation.

Cell lengths 6.2862, 6.2862, 6.2862 Å; angles 90.00, 90.00, 90.00 degrees
Closest atoms and distances in Å follow each position.
Space group Pm-3m (No. 221)
Inequivalent atoms, fractional coordinates:
Cs  0.0000  0.0000  0.0000  12 I 4.45
Sn  0.5000  0.5000  0.5000  6 I 3.14
I  0.0000  0.5000  0.5000  2 Sn 3.14

=====

| no. | calculated volume (Å³/cell) | E_form (meV/atom) |
| --- | --- | --- |
| 1 | 490.5 | -1172 |
| 2 | 944.0 | -1181 |
| 3 | 981.2 | -1173 |
| 4 | 248.4 | -1184 |

* * * * *

(1)
DFT (PBE-GGA) results for Fe6SiB after structural relaxation.

abc: 6.898 4.554 5.588
angles: 90.00 90.00 90.00
Space group Pmc2_1 (No. 26)
One atom of each set of equivalent atoms:
Fe1 0.000 0.121 0.000 x2
Fe2 0.181 0.395 0.649 x4
Fe3 0.282 0.121 0.287 x4
Fe4 0.500 0.351 0.969 x2
Si1 0.500 0.169 0.586 x2
B1 0.000 0.327 0.356 x2


(2)
DFT (PBE-GGA) results for MoCl6 after structural relaxation.

abc: 6.4461 6.4461 5.8551
angles: 90.00 90.00 120.00
Space group P-31m (No. 162)
One atom of each set of equivalent atoms:
Mo1 0.0000 0.0000 0.0000 x1
Cl1 0.0000 0.2929 0.2269 x6


(3)
DFT (PBE-GGA) results for Co2NiS4 after structural relaxation.

abc: 9.325 9.325 9.325
angles: 90.00 90.00 90.00
Space group Fd-3m (No. 227, origin choice 2)
One atom of each set of equivalent atoms:
Co1 0.000 0.000 0.000 x16
Ni1 0.125 0.125 0.625 x8
S1 0.009 0.009 0.241 x32


Number 1: formation energy from the elements -0.158 eV/atom. Number 2: formation energy from the elements -1.254 eV/atom. Number 3: formation energy from the elements -0.753 eV/atom.
- - -
End of the crystal structures:


Kim learned anyway. When her older brother, Young Sam Kim, traveled to teach at faraway dojungs, she stealthily trained at one near her home.

Soon after, she became a teacher herself. At age 23, she opened the first women’s taekwondo dojung in the world. Two years later, she instructed the south Korean Women’s Army Corps.

But women remained subjugated in taekwondo, as Kim again discovered in November, 1973, at the Seventh Tae Kwon Do Masters’ Training Course at the World Tae Kwon Do Federation headquarters, in the most subtle of ways.

The headquarters, built for men, did not have a restroom for women. The lone female enrollee, Kim endured three tearful days: while her classmates changed clothes and relieved themselves in the bathroom between four-hour blocks of classes, she braved frigid temperatures to run to a hotel.

On the fourth day, she thought she found a door to a bathroom.

When she opened it, she encountered no sinks, just a sinking feeling: she had read the sign wrong and interrupted a private meeting headed by the WTF chairman.

She left the room to disapproving glares. Another reminder that she was different.

Today, Kim posts reminders for her students in her Canoga dojung. One is a list titled “Ten Articles of Faith.” Nine on that list is “never retreat in battle.” Ten is “Always finish what you start.”


Kim heeded both.

For six years, she taught taekwondo at nine embassies, and to men twice her weight in Korea’s metropolitan police mobile unit. She also became head coach of the Korean national women’s team--which won five gold medals at the Pre-World Games Tae Kwon Do Championships in 1978--and organized the Korean Women’s Tae Kwon Do Assn.

Then, due to some “personal problems,” she organized her belongings and moved to Michigan.

Five months pregnant in 1982, Kim took a job as head coach of the United States National Women’s Team, telling only the team physician her condition.

“I was much more skinny then,” Kim said. “In the shower, I don’t think they could tell. And I could do everything but the jogging.”

In order to inculcate a larger number of people, she moved in 1986 to Los Angeles with her now ex-husband, Sun Hwan Chung, and daughters, Michelle, 15, and Sophia, 12--both second-degree blackbelts.

While continuing to serve on myriad women’s taekwondo committees and opening the dojung in Canoga Park, she has dabbled in officiating. In 1989, she was the first female to referee a second degree international taekwondo competition. Now she needs three more international competitions to move up to first degree.

• Data records, as found in the file:
+++
The following is a r²SCAN calculation of crystalline Ca3MnO4 at its relaxed geometry, from the Materials Project database.

Energy relative to the elements = -23.1 eV per formula unit

Cell lengths 5.751, 5.776, 6.674 Å; angles 89.99, 106.87, 99.43 degrees
Positions (direct):
Ca (0.000, 0.500, 0.250)
Ca (0.000, 0.500, 0.750)
Ca (0.498, 0.246, 0.374)
Ca (0.498, 0.246, 0.874)
Ca (0.502, 0.754, 0.626)
Ca (0.502, 0.754, 0.126)
Mn (0.000, 0.000, 0.500)
Mn (0.000, 0.000, 0.000)
O (0.762, 0.119, 0.691)
O (0.762, 0.119, 0.191)
O (0.238, 0.881, 0.309)
O (0.238, 0.881, 0.809)
O (0.249, 0.368, 0.562)
O (0.249, 0.368, 0.062)
O (0.751, 0.632, 0.438)
O (0.751, 0.632, 0.938)
+++
• The data records stop here:

But she most savors teaching and, it seems, fame, even when it touches those she has touched. Shin Ja Lim, a former student, coaches the Korean national team, success for which Kim takes partial credit.


“It’s easier for her now,” Kim said. “Now they teach it to women in college.”

Since Tae Kwon Do Times magazine featured Kim in its September cover story, fans worldwide have contacted her for advice, and she appears to get a kick out of the attention. One girl from Pennsylvania, claiming to be both a reporter and blackbelt, called. Kim, not believing either boast, put her on speakerphone and asked for the names of her master and publication.

The girl fumbled. Kim giggled.

For the most part, though, Kim has acted in a supportive role with youth. The city of Los Angeles awarded her a community service award, and if anyone questioned her influence on Valley youngsters, teens such as Steve Gallagher would testify on her behalf.

Gallagher, 15, from San Fernando, cut his hair on Kim’s request, as he would not do for his parents. After bowing to the visitors, he said that he has undergone less-tangible changes as well.

“I’m definitely more disciplined now,” Gallagher said softly. “I respect a lot more people. I’m kinder, more polite. I was kind of unruly before. My friends and I were watching old videos and couldn’t believe that was me. This is definitely more spiritual than anything I have done.”

For others, such as 8-year-old Timothy Yuan, taekwondo has helped overcome timidity.

“He was kind of shy, very feminine, crying like he doesn’t want to do it,” Timothy’s mother said. “Now he likes it.”

Timothy runs around the room in socks, kicking, punching, laughing. He picks up a life-size poster print of the Tae Kwon Do Times cover with Kim’s menacing countenance, as if to honor the person who unlocked the door to his spirit.


“Look, Power Rangers!” Timothy says, pointing instead to an inset photo of the television heroes. Fame may have limits, but one needn’t be famous to have influence.

Kim fancies herself as a second mother to her students, supervising them well after classes end if parents are late and refusing to teach those seeking to use taekwondo as a means to exact revenge. Instead, she preaches self-control and hygiene--harping on clean cuticles, among other things--and often places surprise calls home to students on Saturdays to see if their rooms are clean.

“I care about my students,” Kim said. “Respect country, respect parents, respect brother and sister. Bow to show respect.”

Just don’t bow to custom if it needs to be changed. And don’t respect closed doors if they are meant to be open.
